== Given ==
Theoretical powder XRD pattern of ErAl3Au4 for Cu Ka, from a crystal structure in Alexandria, relaxed with PBE.
Neutral-atom scattering factors, no anomalous dispersion.

Most intense lines, 2θ from 10° to 90°, in order of rising 2θ:
d = 3.661 Å, I = 16
d = 3.305 Å, I = 67
d = 3.098 Å, I = 22
d = 2.691 Å, I = 41
d = 2.506 Å, I = 96
d = 2.198 Å, I = 100
d = 1.653 Å, I = 27
d = 1.381 Å, I = 32
d = 1.321 Å, I = 26
d = 1.269 Å, I = 18

Structure:
abc: 9.235 9.235 9.235
angles: 27.54 27.54 27.54
Element x y z (fractional)
Er  0.000  0.000  0.000
Al  0.248  0.248  0.248
Al  0.500  0.500  0.500
Al  0.752  0.752  0.752
Au  0.130  0.130  0.130
Au  0.395  0.395  0.395
Au  0.605  0.605  0.605
Au  0.870  0.870  0.870

---

Theoretical powder XRD pattern of Ti2PdCl for Cu Ka, from a crystal structure in Alexandria, relaxed with PBE.
Neutral-atom scattering factors, no anomalous dispersion.

Most intense lines, 2θ from 10° to 90°, in order of rising 2θ:
d = 3.671 Å, I = 23
d = 3.179 Å, I = 6
d = 2.248 Å, I = 100
d = 1.917 Å, I = 12
d = 1.590 Å, I = 16
d = 1.459 Å, I = 5
d = 1.422 Å, I = 2
d = 1.298 Å, I = 31
d = 1.224 Å, I = 4
d = 1.124 Å, I = 10

Structure:
abc: 6.359 6.359 6.359
angles: 90.00 90.00 90.00
Element x y z (fractional)
Ti  0.250  0.250  0.250
Ti  0.250  0.250  0.750
Ti  0.250  0.750  0.250
Ti  0.250  0.750  0.750
Ti  0.750  0.250  0.250
Ti  0.750  0.250  0.750
Ti  0.750  0.750  0.250
Ti  0.750  0.750  0.750
Pd  0.000  0.000  0.000
Pd  0.000  0.500  0.500
Pd  0.500  0.000  0.500
Pd  0.500  0.500  0.000
Cl  0.000  0.000  0.500
Cl  0.000  0.500  0.000
Cl  0.500  0.000  0.000
Cl  0.500  0.500  0.500

---

Theoretical powder XRD pattern of Ni4MoPd3 for Cu Ka, from a crystal structure in Alexandria, relaxed with PBE.
Neutral-atom scattering factors, no anomalous dispersion.

Most intense lines, 2θ from 10° to 90°, in order of rising 2θ:
d = 3.573 Å, I = 6
d = 2.717 Å, I = 5
d = 2.163 Å, I = 100
d = 1.921 Å, I = 35
d = 1.787 Å, I = 13
d = 1.692 Å, I = 3
d = 1.358 Å, I = 11
d = 1.308 Å, I = 18
d = 1.150 Å, I = 24
d = 1.091 Å, I = 10

Structure:
abc: 3.842 3.842 14.294
angles: 90.00 90.00 90.00
Element x y z (fractional)
Ni  0.000  0.500  0.121
Ni  0.000  0.500  0.379
Ni  0.000  0.500  0.621
Ni  0.000  0.500  0.879
Ni  0.500  0.000  0.121
Ni  0.500  0.000  0.379
Ni  0.500  0.000  0.621
Ni  0.500  0.000  0.879
Mo  0.000  0.000  0.000
Mo  0.500  0.500  0.500
Pd  0.000  0.000  0.252
Pd  0.000  0.000  0.500
Pd  0.000  0.000  0.748
Pd  0.500  0.500  0.000
Pd  0.500  0.500  0.248
Pd  0.500  0.500  0.752

=====

Theoretical powder XRD pattern
Compound: NiPt4S
Radiation: Cu Kα X-rays
Structure: a structure optimized by DFT (GGA-PBE)
Peak positions follow from Bragg's law for the DFT cell and can differ from measured ones.

a = 4.1352 Å, b = 4.1352 Å, c = 19.5917 Å
α = 90.00°, β = 90.00°, γ = 120.00°
Space group R-3m (No. 166, hexagonal axes)
Unique sites:
Ni: 0.0000 0.0000 0.0000 (multiplicity 3)
Pt: 0.0000 0.0000 0.1278 (multiplicity 6)
Pt: 0.0000 0.0000 0.3751 (multiplicity 6)
S: 0.0000 0.0000 0.5000 (multiplicity 3)

The 10 most intense peaks (10° ≤ 2θ ≤ 80°), in order of rising 2θ:
| d [Å] | intensity | h k l |
| --- | --- | --- |
| 3.363 | 3 | 0 1 2 |
| 3.265 | 2 | 0 0 6 |
| 2.891 | 100 | 1 0 4 |
| 2.068 | 66 | 1 1 0 |
| 2.021 | 61 | 0 1 8 |
| 1.682 | 21 | 0 2 4 |
| 1.633 | 6 | 0 0 12 |
| 1.445 | 21 | 2 0 8 |
| 1.305 | 19 | 2 1 4 |
| 1.281 | 17 | 1 1 12 |

=====

Computed powder XRD pattern of MnTl3S3 for Cu Kα (weighted mean of Kα1 and Kα2), from a crystal structure in Alexandria, relaxed with GGA-PBE.
No peak broadening, texture or thermal motion is included.

Structural model:
```
data_MnTl3S3
_space_group_name_H-M_alt 'P 1 21/c 1'
_space_group_IT_number 14
_cell_length_a 7.733
_cell_length_b 13.141
_cell_length_c 9.901
_cell_angle_alpha 90.00
_cell_angle_beta 128.48
_cell_angle_gamma 90.00
loop_
_space_group_symop_operation_xyz
'x,y,z'
'-x,-y,-z'
'-x,y+1/2,-z+1/2'
'x,-y+1/2,z+1/2'
loop_
_atom_site_label
_atom_site_fract_x

== Job ==
It remains to quote the listing further above from the first line to the one with "Radiation: Cu" verbatim.

== Response ==
Theoretical powder XRD pattern of ErAl3Au4 for Cu Ka, from a crystal structure in Alexandria, relaxed with PBE.
Neutral-atom scattering factors, no anomalous dispersion.

Most intense lines, 2θ from 10° to 90°, in order of rising 2θ:
d = 3.661 Å, I = 16
d = 3.305 Å, I = 67
d = 3.098 Å, I = 22
d = 2.691 Å, I = 41
d = 2.506 Å, I = 96
d = 2.198 Å, I = 100
d = 1.653 Å, I = 27
d = 1.381 Å, I = 32
d = 1.321 Å, I = 26
d = 1.269 Å, I = 18

Structure:
abc: 9.235 9.235 9.235
angles: 27.54 27.54 27.54
Element x y z (fractional)
Er  0.000  0.000  0.000
Al  0.248  0.248  0.248
Al  0.500  0.500  0.500
Al  0.752  0.752  0.752
Au  0.130  0.130  0.130
Au  0.395  0.395  0.395
Au  0.605  0.605  0.605
Au  0.870  0.870  0.870

---

Theoretical powder XRD pattern of Ti2PdCl for Cu Ka, from a crystal structure in Alexandria, relaxed with PBE.
Neutral-atom scattering factors, no anomalous dispersion.

Most intense lines, 2θ from 10° to 90°, in order of rising 2θ:
d = 3.671 Å, I = 23
d = 3.179 Å, I = 6
d = 2.248 Å, I = 100
d = 1.917 Å, I = 12
d = 1.590 Å, I = 16
d = 1.459 Å, I = 5
d = 1.422 Å, I = 2
d = 1.298 Å, I = 31
d = 1.224 Å, I = 4
d = 1.124 Å, I = 10

Structure:
abc: 6.359 6.359 6.359
angles: 90.00 90.00 90.00
Element x y z (fractional)
Ti  0.250  0.250  0.250
Ti  0.250  0.250  0.750
Ti  0.250  0.750  0.250
Ti  0.250  0.750  0.750
Ti  0.750  0.250  0.250
Ti  0.750  0.250  0.750
Ti  0.750  0.750  0.250
Ti  0.750  0.750  0.750
Pd  0.000  0.000  0.000
Pd  0.000  0.500  0.500
Pd  0.500  0.000  0.500
Pd  0.500  0.500  0.000
Cl  0.000  0.000  0.500
Cl  0.000  0.500  0.000
Cl  0.500  0.000  0.000
Cl  0.500  0.500  0.500

---

Theoretical powder XRD pattern of Ni4MoPd3 for Cu Ka, from a crystal structure in Alexandria, relaxed with PBE.
Neutral-atom scattering factors, no anomalous dispersion.

Most intense lines, 2θ from 10° to 90°, in order of rising 2θ:
d = 3.573 Å, I = 6
d = 2.717 Å, I = 5
d = 2.163 Å, I = 100
d = 1.921 Å, I = 35
d = 1.787 Å, I = 13
d = 1.692 Å, I = 3
d = 1.358 Å, I = 11
d = 1.308 Å, I = 18
d = 1.150 Å, I = 24
d = 1.091 Å, I = 10

Structure:
abc: 3.842 3.842 14.294
angles: 90.00 90.00 90.00
Element x y z (fractional)
Ni  0.000  0.500  0.121
Ni  0.000  0.500  0.379
Ni  0.000  0.500  0.621
Ni  0.000  0.500  0.879
Ni  0.500  0.000  0.121
Ni  0.500  0.000  0.379
Ni  0.500  0.000  0.621
Ni  0.500  0.000  0.879
Mo  0.000  0.000  0.000
Mo  0.500  0.500  0.500
Pd  0.000  0.000  0.252
Pd  0.000  0.000  0.500
Pd  0.000  0.000  0.748
Pd  0.500  0.500  0.000
Pd  0.500  0.500  0.248
Pd  0.500  0.500  0.752

=====

Theoretical powder XRD pattern
Compound: NiPt4S
Radiation: Cu Kα X-rays